/*
1.
{"formula": "AcEuTeSe", "functional": "GGA-PBE", "state": "relaxed", "cell": [[-2.1236, -5.1051, -0.3934], [2.9882, -4.0772, -2.2745], [1.9904, -4.0823, 3.1781]], "species": ["Se", "Ac", "Te", "Eu"], "fractional_positions": [[0.5000, 0.5000, 0.5000], [0.7500, 0.7500, 0.7500], [0.0000, 0.0000, 0.0000], [0.2500, 0.2500, 0.2500]], "crystal_system": "cubic", "mass_density_g_cm3": 8.07, "dft_energy_ev_per_atom": -6.7788, "spacegroup": "F-43m"}



2.
{"formula": "Ac2EuSi", "functional": "GGA-PBE", "state": "relaxed", "cell": [[4.0108, 0.0000, 0.0000], [0.0000, 4.0108, 0.0000], [0.0000, 0.0000, 9.0650]], "species": ["Eu", "Ac", "Ac", "Si"], "fractional_positions": [[0.5000, 0.5000, 0.5000], [0.0000, 0.0000, 0.8160], [0.0000, 0.0000, 0.1840], [0.5000, 0.5000, 0.0000]], "e_above_lowest_polymorph_mev_per_atom": 0, "crystal_system": "tetragonal", "mass_density_g_cm3": 7.22, "dft_energy_ev_per_atom": -6.1497, "spacegroup": "P4/mmm"}



3.
{"formula": "Ac2EuSi", "functional": "GGA-PBE", "state": "relaxed", "cell": [[-1.9956, 0.2911, -4.3287], [1.2205, -5.0048, -0.8992], [-4.5914, -1.4821, 2.0171]], "species": ["Si", "Ac", "Ac", "Eu"], "fractional_positions": [[0.5000, 0.5000, 0.5000], [0.0000, 0.0000, 0.5000], [0.0000, 0.5000, 0.0000], [0.5000, 0.0000, 0.0000]], "e_above_lowest_polymorph_mev_per_atom": 76, "crystal_system": "tetragonal", "mass_density_g_cm3": 8.06, "dft_energy_ev_per_atom": -6.0742, "spacegroup": "P4/mmm"}



4.
{"formula": "Ac2EuSi", "functional": "GGA-PBE", "state": "relaxed", "cell": [[5.7232, 0.0000, 0.0000], [2.8616, 4.9565, 0.0000], [2.8616, 1.6522, 4.6730]], "species": ["Si", "Eu", "Ac", "Ac"], "fractional_positions": [[0.0000, 0.0000, 0.0000], [0.5000, 0.5000, 0.5000], [0.2500, 0.2500, 0.2500], [0.7500, 0.7500, 0.7500]], "e_above_lowest_polymorph_mev_per_atom": 213, "crystal_system": "cubic", "mass_density_g_cm3": 7.94, "dft_energy_ev_per_atom": -5.9366, "spacegroup": "Fm-3m"}



5.
{"formula": "Ac2EuSi", "functional": "GGA-PBE", "state": "relaxed", "cell": [[-0.1942, 0.8085, 4.2810], [-0.7291, -3.2597, 2.8038], [9.7588, -2.4160, 3.1203]], "species": ["Ac", "Ac", "Si", "Eu"], "fractional_positions": [[0.2749, 0.2749, 0.1752], [0.7251, 0.7251, 0.8248], [0.0000, 0.0000, 0.0000], [0.5000, 0.5000, 0.5000]], "e_above_lowest_polymorph_mev_per_atom": 18, "crystal_system": "trigonal", "mass_density_g_cm3": 6.25, "dft_energy_ev_per_atom": -6.1320, "spacegroup": "R-3m"}



6.
{"formula": "AcEuSi4", "functional": "GGA-PBE", "state": "relaxed", "cell": [[5.6412, 0.0000, 0.0000], [2.8206, 4.8854, 0.0000], [2.8206, 1.6285, 4.6060]], "species": ["Si", "Si", "Si", "Si", "Eu", "Ac"], "fractional_positions": [[0.6125, 0.1627, 0.6124], [0.6125, 0.6124, 0.1627], [0.6125, 0.6124, 0.6124], [0.1627, 0.6124, 0.6124], [0.2500, 0.2500, 0.2500], [0.0000, 0.0000, 0.0000]], "crystal_system": "cubic", "mass_density_g_cm3": 6.43, "dft_energy_ev_per_atom": -6.2723, "spacegroup": "F-43m"}



7.
{"formula": "AcEu2Si", "functional": "GGA-PBE", "state": "relaxed", "cell": [[3.7729, 0.0000, 0.0000], [0.0000, 3.7729, 0.0000], [0.0000, 0.0000, 9.4632]], "species": ["Ac", "Si", "Eu", "Eu"], "fractional_positions": [[0.5000, 0.5000, 0.5000], [0.5000, 0.5000, 0.0000], [0.0000, 0.0000, 0.8249], [0.0000, 0.0000, 0.1751]], "e_above_lowest_polymorph_mev_per_atom": 0, "crystal_system": "tetragonal", "mass_density_g_cm3": 6.89, "dft_energy_ev_per_atom": -7.6797, "spacegroup": "P4/mmm"}



8.
{"formula": "AcEuSi2", "functional": "GGA-PBE", "state": "relaxed", "cell": [[3.9645, 0.0000, 0.0000], [0.0000, 3.9645, 0.0000], [0.0000, 0.0000, 6.5795]], "species": ["Ac", "Si", "Si", "Eu"], "fractional_positions": [[0.5000, 0.5000, 0.0000], [0.0000, 0.0000, 0.3093], [0.0000, 0.0000, 0.6907], [0.5000, 0.5000, 0.5000]], "crystal_system": "tetragonal", "mass_density_g_cm3": 6.99, "dft_energy_ev_per_atom": -6.6699, "spacegroup": "P4/mmm"}



9.
*/

Work out how many lines further above have the word "Ac2EuSi" in them; a number is enough.

4